An Alphabet of Embers: An Anthology of Unclassifiables – Rose Lemberg (editor)

Alphabet of Embers CoverFirst Published: 6th July, 2016
Genre: Speculative Fiction / Short Story Anthology
Authors: Emily Stoddard; JY Yang; Sara Norja; Nin Harris; Greer Gilman; Kari Sperring; Mari Ness; Nisi Shawl; Zen Cho; Yoon Ha Lee; M. David Blake; Celeste Rita Baker; Alvaro Zinos-Amaro; Nolan Liebert; Mina Li; Shweta Narayan; Ian Muneshwar; Sheree Renée Thomas; Khaalidah Muhammad-Ali; Tlotlo Tsamaase; Sonya Taaffe; Emily Jiang; Ching-In Chen; Arkady Martine; Vajra Chandrasekera; Amal El-Mohtar; M Sereno
Available: | Amazon UK | Gumroad

This anthology focuses on short work with a poetic feel to the writing. A few of my favourite short pieces were included as reprints. There are interior illustrations by M Sereno, which are a good match for the feel of the language, with intricate patterns and flowing lines.

The first of my reprint favourites was “Absinthe Fish” (M. David Blake), about fish who swim in absinthe and dream. It’s as surreal as that premise sounds. “Single Entry” (Celeste Rita Baker) is more of a traditional narrative, as it follows someone with a unique carnival costume. “The Binding of Ming-tian” (Emily Jiang) is a rather chilling piece that deals with foot binding. All three have unusual imagery and went to places I hadn’t quite expected, but in a way that is accessible for me.

In the new stories, I did particularly like “The City Beneath the Sea” (Sara Norja). It combined the mysteries of the sea with folklore passed down through generations.

Generally though, I struggled with the stories. I can’t say what happened in all of them. The ones with very long paragraphs were hard for me to follow, as it meant I skipped lines and reread lines, before giving up on the paragraphs entirely. The language choices in some of the stories also meant I didn’t understand what I was reading. I started out fine with the first few stories, but by the time I got to the end, I felt I was constantly behind. I got very confused about what went with which story. It was all a bit of a blur.

This doesn’t mean that the anthology is bad, as I have language processing issues. Someone who has studied English to a higher level, or has more of a talent for language, will likely find this a far easier read and be able to enjoy the imagery. I am not that person, so I didn’t get as much out of this as I’d hoped.

[A copy of this book was received from the publisher for review purposes]

The Days of Tao – Wesley Chu

Days of Tao CoverSeries: Tao, #3.5
First Published: 30th April, 2016
Genre: Science Fiction / Novella
Available: | Amazon UK | Subterranean

Cameron Tan is studying in Greece when he’s called up for a secret mission. Another agent has important information, and needs help getting out of the country.

The concept of the story was interesting. There are two rival alien groups, who live inside human hosts. The alien brings knowledge to their host, but not amazing superpowers. This gives the whole thing more of a spy action vibe, as no one is a bullet sponge.

I also enjoyed the opening. It starts with Nazar, the agent who has to get out of Greece. He’s competent and has a complex past. But this is the only time he really gets development, as he doesn’t have any other sections from his perspective. I didn’t understand why he couldn’t escape on his own, as he’d have been much safer. Having a damaged arm (from an injury years back) was not a good reason. It made him distinctive, but it’s not like the escape plan was ever to walk through border control. This was a very weak reason for needing help.

I wasn’t particularly interested in Cameron Tan, the actual main character. He’s the classic inept slacker guy, who for some reason keeps getting important tasks to do. I got the impression I was supposed to find that hilarious, especially the repeated joke about low grades in art history. The first half of the story is mostly how funny it is that he’s terrible at stuff, and everything else is happening painfully slowly.

Then there’s a sudden shift when the group gets moving. There are too many characters, and everything’s going too fast, for them to get any development. It’s hard to really get inside the difficult choices Cameron has to make when the people around him are so flat. The tone also goes from laugh-at-the-funny-guy to death-and-angst. Which is the realistic outcome of choosing someone incompetent for a task. This did raise my interest in the book. But people who enjoyed the first part might find that change a downer.

All in all, this story didn’t work for me at novella length. Fewer characters and a tighter opening half would have done a lot. I’m sure readers who’ve been following the series will like it, and it does appear to set up some things for future stories. It’s probably not the best introduction to the world though.

[A copy of this book was received from the publisher for review purposes]

The Flower – John Light (author), Lisa Evans (illustrator)

The Flower CoverFirst Published: 1st April, 2006
Genre: Children’s Dystopian / Picture Book
Available: | Amazon UK | Child’s Play

Brigg is a child living in a grey city. He works at the library, where he finds a book he isn’t supposed to read. It’s filled with pictures of flowers, which he hasn’t seen before. If only he could find a flower in the city.

Dystopian futures are tricky to condense for picture books, as there’s not a lot of space to explain what’s going on, and early readers may not be familiar with the tropes of the genre. This book does a good job of tackling that issue. There are many small details, like Brigg having a job and living alone rather than with parents. Brigg has never seen flowers before, and doesn’t recognise a seed packet or understand how plants grow.

It focuses on a personal act of revolution, rather than trying to overthrow the system. Brigg can’t change how the city runs, but he can try to grow a flower. The theme of finding a point of happiness when the world seems bleak will resonate with children going through tough times.

There’s also a suggestion of post-apocalyptic themes, with the environment changing so there aren’t any plants in the city. It takes something pretty major to kill off all the weeds.

The art reinforces the story, by showing the city as a dull grey place. Brigg is shown walking the other way to everyone else, or sitting apart from other children, highlighting how out-of-place he feels. His room is very plain, with few personal items. Once the flower appears, it’s a point of colour and life in an otherwise dull environment.

I wasn’t sure whether Brigg was intended to be mixed race. The art style has everyone with very lightly shaded skin, making it rather ambiguous. He also has somewhat European facial features. But his hair texture suggests black ancestry. So, I personally saw him as mixed race when I read it, whether or not that was intended.

This is an enjoyable book that packs a lot into very few words. It touches on things like feeling alone, environmental issues and book censorship. It’s an accessible introduction to dystopian fiction for younger children, with darkly whimsical artwork.

Cyborg Vol. 1: Unplugged – David F. Walker

Cyborg CoverFirst Published: 29th March, 2016
Genre: Superhero / Graphic Novel
Contributors: David F. Walker (writer); Ivan Reis (penciller); Joe Prado (artist); Adriano Lucas (colourist); Rob Leigh (letterer)
Available: | Amazon UK

Attackers from another dimension kill Cyborg and steal his arms. But Cyborg doesn’t stay dead and his arms regenerate. He heads to S.T.A.R. Labs to find out what’s going on with his technology. Meanwhile, in another dimension, a war against alien cyborgs rages.

This graphic novel includes the first six issues of Cyborg’s comic. It tells a complete story, though does leave some plot threads open for future stories. The opening introduces what’s been happening in Detroit while Cyborg was off being a superhero, as well as providing space for Cyborg to reflect on his life and relationships. This part interested me the most, as it means finding out about the man behind the snarky superhero.

Inevitably, the two storylines come together, and there’s some alien cyborg action. The highlight of that part was the art. The aliens are detailed, and there’s a certain organic messiness to the cybernetics. The battle scenes are a place where this really gets to shine. My only complaint with the artwork was the cat who Cyborg talks to before and after. The cat didn’t seem as detailed or expressive as the other characters. Though he wasn’t in a lot of frames, it stuck with me.

Cyborg’s backstory is having most of his body destroyed and replaced by machines, including a replacement eye and arms. Disability issues often aren’t addressed in stories like this. When prosthetics give someone superhuman abilities, it’s usually handled as though there aren’t any issues at all. That isn’t the case here, though the way it was handled wasn’t perfect. I liked that the cybernetic technology is treated as the untested equipment that it is, with the concerns that raises for Cyborg about what’s happening to his body. He also faces being treated like a science experiment by the scientists, including his own father. The struggle against feeling dehumanised is linked back to how he felt just after the accident, when he was hesitant to go outside due to reactions from other people. Even after becoming a superhero, he faces people asking him invasive personal questions, from how he goes to the toilet to his sex life. Superhuman prosthetics don’t make these social consequences go away.

Other social concerns are touched on in the early part of the story, such as differing access to medical care. A man with a missing eye and crude prosthetic arm is one of the protesters outside the labs. Detroit is suffering financially, and access to the best medical care is not something everyone has. This leads to body shops, where people can have untested cybernetics attached. It’s an option that can be within reach for people failed by the medical system, but it means surgery in shady back alley establishments and uncertainty about what the cybernetics will do.

_Materials data, kept here for reference_
A relaxed K2SrTh2Mo6O24 crystal, computed with PBE+U.

Unit cell a=8.0822 b=8.4600 c=16.1789 alpha=101.55 beta=102.48 gamma=97.01
Atoms (fractional coordinates):
K 0.1452 0.4963 0.1584
K 0.1930 0.7148 0.4355
K 0.8070 0.2852 0.5645
K 0.8548 0.5037 0.8416
Sr 0.3371 0.3707 0.8405
Sr 0.6629 0.6293 0.1595
Th 0.0669 0.0025 0.1615
Th 0.3103 0.3058 0.5037
Th 0.6897 0.6942 0.4963
Th 0.9331 0.9975 0.8385
Mo 0.0864 0.0514 0.6508
Mo 0.1408 0.6781 0.6652
Mo 0.2260 0.7632 0.9957
Mo 0.3866 0.1654 0.0118
Mo 0.4622 0.3706 0.3178
Mo 0.4738 0.0028 0.6608
Mo 0.5262 0.9972 0.3392
Mo 0.5378 0.6294 0.6822
Mo 0.6134 0.8346 0.9882
Mo 0.7740 0.2368 0.0043
Mo 0.8592 0.3219 0.3348
Mo 0.9136 0.9486 0.3492
O 0.0281 0.1741 0.7451
O 0.0446 0.8246 0.9216
O 0.0544 0.3788 0.4232
O 0.0785 0.8685 0.7288
O 0.1098 0.5458 0.7333
O 0.1232 0.0528 0.4169
O 0.1281 0.7528 0.0875
O 0.1367 0.2080 0.5936
O 0.1976 0.5564 0.9377
O 0.2028 0.1518 0.9168
O 0.2137 0.8841 0.5982
O 0.2530 0.2617 0.2549
O 0.2689 0.0394 0.0714
O 0.2755 0.5467 0.5963
O 0.3252 0.9426 0.2605
O 0.3432 0.1154 0.7284
O 0.3857 0.8889 0.9389
O 0.4023 0.7856 0.7258
O 0.4050 0.3659 0.0748
O 0.4099 0.4992 0.4179
O 0.4626 0.7668 0.0654
O 0.4673 0.1939 0.4075
O 0.4827 0.1357 0.5866
O 0.4955 0.5281 0.2628
O 0.5045 0.4719 0.7372
O 0.5173 0.8643 0.4134
O 0.5327 0.8061 0.5925
O 0.5374 0.2332 0.9346
O 0.5901 0.5008 0.5821
O 0.5950 0.6341 0.9252
O 0.5977 0.2144 0.2742
O 0.6143 0.1111 0.0611
O 0.6568 0.8846 0.2716
O 0.6748 0.0574 0.7395
O 0.7245 0.4533 0.4037
O 0.7311 0.9606 0.9286
O 0.7470 0.7383 0.7451
O 0.7863 0.1159 0.4018
O 0.7972 0.8482 0.0832
O 0.8024 0.4436 0.0623
O 0.8633 0.7920 0.4064
O 0.8719 0.2472 0.9125
O 0.8768 0.9472 0.5831
O 0.8902 0.4542 0.2667
O 0.9215 0.1315 0.2712
O 0.9456 0.6212 0.5768
O 0.9554 0.1754 0.0784
O 0.9719 0.8259 0.2549

Output
- E_tot: -7.312 eV/atom

***

A relaxed BaSr7Fe8O24 crystal, computed with PBE+U.

Unit cell a=7.8642 b=7.8642 c=7.8642 alpha=90.00 beta=90.00 gamma=90.00
Atoms (fractional coordinates):
Ba 0.0000 0.0000 0.0000
Sr 0.0000 0.0000 0.5000
Sr 0.0000 0.5000 0.0000
Sr 0.0000 0.5000 0.5000
Sr 0.5000 0.0000 0.0000
Sr 0.5000 0.0000 0.5000
Sr 0.5000 0.5000 0.0000
Sr 0.5000 0.5000 0.5000
Fe 0.2511 0.2511 0.2511
Fe 0.2511 0.2511 0.7489
Fe 0.2511 0.7489 0.2511
Fe 0.2511 0.7489 0.7489
Fe 0.7489 0.2511 0.2511
Fe 0.7489 0.2511 0.7489
Fe 0.7489 0.7489 0.2511
Fe 0.7489 0.7489 0.7489
O 0.0000 0.2545 0.2545
O 0.0000 0.2545 0.7455
O 0.0000 0.7455 0.2545
O 0.0000 0.7455 0.7455
O 0.2510 0.2510 0.5000
O 0.2510 0.5000 0.2510
O 0.2510 0.5000 0.7490
O 0.2510 0.7490 0.5000
O 0.2545 0.0000 0.2545
O 0.2545 0.0000 0.7455
O 0.2545 0.2545 0.0000
O 0.2545 0.7455 0.0000
O 0.5000 0.2510 0.2510
O 0.5000 0.2510 0.7490
O 0.5000 0.7490 0.2510
O 0.5000 0.7490 0.7490
O 0.7455 0.0000 0.2545
O 0.7455 0.0000 0.7455
O 0.7455 0.2545 0.0000
O 0.7455 0.7455 0.0000
O 0.7490 0.2510 0.5000
O 0.7490 0.5000 0.2510
O 0.7490 0.5000 0.7490
O 0.7490 0.7490 0.5000

Output
- E_tot: -6.353 eV/atom

***
_The materials data stop here_

It was a great setup… but it gets lost once the action starts, and is wrapped up neatly in a simplistic cure narrative. This highlights an issue with the aftermath in general. I’d expect a lot more devastation left behind, rather than things going back to normal so quickly. The way everything wraps up feels rushed.

I also would have liked to see more of Sarah. She’s shown as a supportive friend, and possible love interest, but doesn’t get to do a whole lot. I couldn’t say much about her. I want to see them as friends before I can really buy them as a possible romance.

I don’t think this is a bad introduction to Cyborg’s solo adventures. It has some time to develop him as a character, as well as some action. There’s more to explore when it comes to how his cybernetics are changing. The ending was the weakest part, though there is the potential to address those themes in more detail in future stories.

[A copy of this book was received from the publisher for review purposes]

The Tea Party in the Woods – Akiko Miyakoshi

Tea Party CoverFirst Published: 1st August, 2015
Genre: Children’s Fantasy / Picture Book
Available: | Amazon UK

Kikko is taking a pie to Grandma, after her father forgets to take it. She ends up lost in the snow, but stumbles across an unusual tea party.

This is a whimsical adventure, about finding animals wearing clothes who are having a tea party. There are some creepier moments, such as Kikko getting lost in the woods, and the uncertainty of how the animals will react when they first see her. However, the overall tone is one of warmth and strangers helping each other out.

The artwork is charcoal and pencil on textured paper. Most pages have some splashes of yellow and red ink, such as Kikko’s yellow hair and red clothing. The tea party scenes are especially good, as they have a lot of detail. There’s more to find on subsequent reads of the book.

I enjoyed the theme of magic as part of the world. It’s easy to imagine it’s waiting there in the woods, if only you go the right way. This book was written after The Storm, but was the first one translated into English. Being a later book shows, as the story is much better paced. Kikko is off on her adventure within a couple of pages, and plenty of time is spent hanging out with the animals.

It’s a great book, and is sure to capture the imagination. It would also link in well to activities like teddy bears’ picnics.

[A copy of this book was received from the publisher for review purposes]